The Cross Processing filter within Color Efex Pro 4 replicates a traditional method for processing your film, providing you with a digital equivalent. The filter allows you to creatively enhance your image by giving it an unexpected look, while maintaining control over the effect.

Cross processing is an analog film technique where you deliberately process your color film in a chemical solution meant for another type of film. Since each solution has been created for a specific type of film, the results can be interesting, surprising, and highly stylized. It gained popularity in the fashion and commercial photographic industry, as well as with wedding and portrait photographers, and has even been used in the film industry.

Cross processed images are notable for their unconventional color shifts, saturation, and changes to the contrast, which can range from subtle and soft to drastic. There are also other variables that can affect how the final images look, such as the brand of film used, the film speed or EI, and any over-exposure or under-exposure.

While there are a few different ways to achieve this effect, cross processing is traditionally done in one of two ways:

Processing color negative (C-41) film in E-6 chemicals – This results in a positive image with a base of a normally processed negative. Images generally have softer contrast with more muted colors.

== Misplaced materials data ==
'''
*1*
Below is a relaxed structure of RbZrPt3, with properties calculated at the PBE-GGA level. Values from VASP.

Cell and atoms, written as Quantum ESPRESSO input:
```
&SYSTEM
  ibrav = 0, nat = 5, ntyp = 3
/
ATOMIC_SPECIES
Rb 85.47 Rb.upf
Zr 91.22 Zr.upf
Pt 195.08 Pt.upf
CELL_PARAMETERS angstrom
-4.835 -0.568 1.020
-0.393 -3.302 -3.700
1.100 -3.677 3.165
ATOMIC_POSITIONS angstrom
Rb 0.000 0.000 0.000
Zr -2.064 -3.773 0.243
Pt -0.196 -1.651 -1.850
Pt 0.550 -1.838 1.582
Pt -2.418 -0.284 0.510
```

Output
Space-group type ... Pm-3m (221)
Crystal system ... cubic
DOS at the Fermi energy ... 6.4 states/eV/cell

---

*2*
Below is a relaxed structure of RbZrPt3, with properties calculated at the PBE-GGA level. Values from VASP.

Cell and atoms, written as Quantum ESPRESSO input:
```
&SYSTEM
  ibrav = 0, nat = 5, ntyp = 3
/
ATOMIC_SPECIES
Rb 85.47 Rb.upf
Zr 91.22 Zr.upf
Pt 195.08 Pt.upf
CELL_PARAMETERS angstrom
5.148 0.000 0.000
0.000 5.148 0.000
0.000 0.000 5.148
ATOMIC_POSITIONS angstrom
Rb 2.574 2.574 2.574
Zr 0.000 0.000 0.000
Pt 0.000 2.574 0.000
Pt 0.000 0.000 2.574
Pt 2.574 0.000 0.000
```

Output
Space-group type ... Pm-3m (221)
Crystal system ... cubic
DOS at the Fermi energy ... 3.5 states/eV/cell

---

Stability order, top to bottom: *2*, *1*

---

*1*
Below is a relaxed structure of RePt, with properties calculated at the PBE-GGA level. Values from VASP.

Cell and atoms, written as Quantum ESPRESSO input:
```
&SYSTEM
  ibrav = 0, nat = 32, ntyp = 2
/
ATOMIC_SPECIES
Re 186.21 Re.upf
Pt 195.08 Pt.upf
CELL_PARAMETERS angstrom
7.247 0.000 0.000
0.000 7.595 0.000
0.000 0.000 9.755
ATOMIC_POSITIONS angstrom
Re 2.447 0.000 0.000
Re 4.800 0.000 0.000
Re 6.612 5.696 2.439
Re 4.258 5.696 2.439
Re 2.447 3.798 4.878
Re 4.800 3.798 4.878
Re 6.612 1.899 7.316
Re 4.258 1.899 7.316
Re 6.070 0.000 4.878
Re 1.177 0.000 4.878
Re 2.988 5.696 7.316
Re 0.635 5.696 7.316
Re 6.070 3.798 0.000
Re 1.177 3.798 0.000
Re 2.988 1.899 2.439
Re 0.635 1.899 2.439
Pt 0.000 6.305 0.000
Pt 0.000 1.290 0.000
Pt 1.812 6.986 2.439
Pt 1.812 4.407 2.439
Pt 0.000 2.508 4.878
Pt 0.000 5.087 4.878
Pt 1.812 3.188 7.316
Pt 1.812 0.609 7.316
Pt 3.623 6.305 4.878
Pt 3.623 1.290 4.878
Pt 5.435 6.986 7.316
Pt 5.435 4.407 7.316
Pt 3.623 2.508 0.000
Pt 3.623 5.087 0.000
Pt 5.435 3.188 2.439
Pt 5.435 0.609 2.439
```

Output
Space-group type ... Fddd (70)
Crystal system ... orthorhombic
DOS at the Fermi energy ... 25.5 states/eV/cell

---

*2*
Below is a relaxed structure of RePt, with properties calculated at the PBE-GGA level. Values from VASP.

Cell and atoms, written as Quantum ESPRESSO input:
```
&SYSTEM
  ibrav = 0, nat = 8, ntyp = 2
/
ATOMIC_SPECIES
Re 186.21 Re.upf
Pt 195.08 Pt.upf
CELL_PARAMETERS angstrom
-0.136 -3.377 -5.472
3.494 -4.634 2.772
-3.685 -1.989 1.319
ATOMIC_POSITIONS angstrom
Re 2.169 -4.175 -0.235
Re 1.061 -7.922 -1.675
Re -1.389 -2.077 0.295
Re 1.188 -3.835 -2.464
Pt 0.865 -2.064 -0.696
Pt -1.099 -4.676 -2.814
Pt 0.772 -5.324 1.434
Pt 2.492 -5.946 -2.004
```

Output
'''

Processing color transparency film (E-6) in C-41 chemicals – This results in a negative image with a colorless base. Images can become more saturated and/or have heightened contrast. There tends to be a bigger color shift or cast with this method.

Color Efex Pro 4 provides two main global controls within the Cross Processing filter, allowing you to change the look and feel of your image. Below are more specific details about each filter control. Let’s take a look…

The Cross Processing filter control options

The Method drop-down menu offers a variety of options based on the different processing techniques discussed above. Clicking on the menu will present the different options, broken into two categories: C41 to E6 or E6 to C41. There are 13 different C41 to E6 options, and 6 different E6 to C41 options.

The Method drop-down menu 

The Strength slider controls the amount of the filtered effect that is applied to your original image. By default it is set to 33%. Moving the slider to the right will increase the effect, while moving to the left will decrease the effect.

Tip: Combine the Cross Processing filter with the Film Grain filter within Color Efex Pro 4 for a true analog feel to your image! (Click on the + Add Filter Button and then click on Film Grain.)